I don’t know… and that’s where I am going to start.
In my work in design and in spaces where I have leadership roles, I’ve begun to discover the true value and impact of not having an answer or solution for everything but instead actively holding for space those who are knowing and capable, those who embody what’s needed to provide solutions for today.
As leaders today, we need to radically shift how leadership happens within our organizations. This involves processes of letting go, unlearning, and deconstruction. As an Industrial Designer, educated through a westernized or colonial system, I’ve had to let go of much that I have learned. I have to practice new ways of creating – fueled by listening, collaborating and connecting around differences.
As a human being I’m actively trying to smash my own internal mechanics and structures which have isolated me from my own self-expression and authentic connection with others. This work, both externally and internally, has led me down a path where I had the opportunity to take on the role of President of the Emily Carr University Alumni Association (ECUAA).
The ECUAA had little to no impact on my experience as a student at ECU, nor as an alumnus – at least not that I was aware of. When speaking to both current students and alumni, they have expressed similar feelings. I had a great experience at ECU but I am aware that it is not a shared experience by all students and alumni. Recent events have sparked actions led by the ECU Anti-Racism Initiative and because of their work I have become aware of other experiences and stories that are not being shared through university or ECUAA channels.
The fact that one’s self-expression has been oppressed, limited or censored is fundamentally wrong, especially in a school that participates in cultural activities. We have to do things differently, and we have to be better because our student body has the capacity to change the course of the future.
In the nine years I have been away from the university and the five years within it, I saw the university go through a series of evolutions: from an Institute on Granville Island to a University on Great Northern Way among others. My first year at ECU was the year of the first iPhone and since then technology has transformed our campus and the way we make, create and collaborate on art and design projects.
I have seen the school become further disconnected from the city, and the city become more disconnected from itself through the loss and upheaval of arts and culture spaces. In an age of connectivity, our culture couldn’t be more fragmented and disconnected in this city, and within the walls of the school this is no different. Bring on 2020 and we are living in a new context and will be doing so for an undetermined period of time.
I’ve seen change in my time at ECU, but now we have an opportunity for transformation.
Our school has a deficit of culture. We prioritize our creative output without focusing on the impact we are having on our own ecosystem. Like many systems in our world, we need to shift away from the industrial mindset and return to the regenerative systems, the ways of being and knowing embodied by Indigenous people across the globe. Within our alumni network and our current student, staff and faculty body we have all the right pieces to have a flourishing ecosystem, but we have fallen behind in updating the systems to allow diversity to thrive.
When more things interact more often, more happens. In the context of an art school, that is evident through interdisciplinary expression and radical acts of collaboration. Connection breeds culture, and who we need in connection is an impressive array of human beings, using our diverse experiences at ECU as a catalyst to transform our culture.
What was clear after spending a year on the board was that the ECUAA needed new leadership to breathe new life into an organization in a vegetative state after its previous stint as a fundraising mechanism for the new campus. I took on the role because I believed I could contribute to reinventing the organization and making it relevant for the needs of our evolving community of students, graduates and alumni.
My primary focus on the board is to facilitate connection in the 21st century, through supporting the implementation of The Leeway, a tailored platform we have invested in for our community to connect. In addition to this we have set a course to rebuild the board from the ground up, with our current membership focusing on transitioning the association and redefining its purpose. I strongly stand in the belief that if we enhance our connection as a community we can transition to where we need to go together, as the solutions we seek lie within our relations to one another.
I hope that our work over the next few years can help transition the ECUAA into an organization that our foundation students are aware of day one and where they see themselves in the alums they meet within the first week of school. I would like to see the board and the alumni network viewed as a wealth of experience that can be tapped into by both the university and the students for the purposes of enhancing learning experiences and navigating complexity.
For those who are reading this, I encourage you to ask yourself if your voice is missing from our board. This transformation requires more than who we have on our board today as we need to expand our board’s ability to listen, to act, understand and to support our current and future alumni. With the formation of a strong board we can play a larger role in enhancing the culture of the school by being a resource for key decision makers, an advocate for students and a mechanism for accountability, ensuring the school follows through with its commitments to its community. Together we can participate in reuniting Emily Carr with the city and having it be an agent in local culture as we move to recognize our 100th year as an art school.
I look forward to continuing this conversation and invite you to reach out to me at any time with questions, to voice interest in joining the board, or just for a chat. Reach me through email.
Patrick Christie
These data records were left in the piece by mistake:
'''
The following is a theoretical XRD peak list of Li2ZnCdBr6. It was derived from a GGA-PBE-relaxed structure, using Cu Kα (λ = 1.5418 Å).

Top 10 peaks for 2θ from 10° to 80°, low angle first:
(hkl)  two_theta  I/Imax
0 1 -1  17.70  38.1
0 1 1  24.24  11.7
0 0 2  28.67  13.4
1 1 -2  29.75  100.0
2 0 0  35.84  10.4
-2 1 3  39.08  44.8
3 0 -2  45.85  36.0
1 1 -4  51.46  20.3
3 0 0  54.98  10.4
2 2 -1  55.61  11.3

Structural model:
```
data_Li2ZnCdBr6
_space_group_name_H-M_alt 'P 1'
_space_group_IT_number 1
_cell_length_a 6.8508
_cell_length_b 6.8548
_cell_length_c 7.3755
_cell_angle_alpha 90.03
_cell_angle_beta 117.64
_cell_angle_gamma 119.93
loop_
_space_group_symop_operation_xyz
'x,y,z'
loop_
_atom_site_label
_atom_site_fract_x
_atom_site_fract_y
_atom_site_fract_z
Li1 0.0000 0.0000 0.0000
Li2 0.9999 0.4997 0.5000
Zn1 0.6075 0.8040 0.4131
Cd1 0.6090 0.3049 0.9134
Br1 0.1095 0.2132 0.7130
Br2 0.1413 0.4170 0.2254
Br3 0.5005 0.0835 0.2256
Br4 0.4998 0.8963 0.7123
Br5 0.8078 0.7249 0.2258
Br6 0.8166 0.6038 0.7126
```

The following is a theoretical XRD peak list of AgPd5. It was derived from a GGA-PBE-relaxed structure, using Cu Kα (λ = 1.5418 Å).

Top 8 peaks for 2θ from 10° to 80°, low angle first:
(hkl)  two_theta  I/Imax
1 3 0  39.09  100.0
1 0 2  39.29  98.5
2 0 0  45.57  96.0
0 6 0  66.09  10.2
2 3 2  66.43  40.2
0 0 4  66.65  9.9
1 6 2  79.67  23.8
3 3 0  79.92  11.8

Structural model:
```
data_AgPd5
_space_group_name_H-M_alt 'P m m n'
_space_group_IT_number 59
_cell_length_a 3.9774
_cell_length_b 8.4824
_cell_length_c 5.6130
_cell_angle_alpha 90.00
_cell_angle_beta 90.00
_cell_angle_gamma 90.00
loop_
_space_group_symop_operation_xyz
'x,y,z'
'-x,-y,-z'
'-x+1/2,-y+1/2,z'
'x+1/2,y+1/2,-z'
'x+1/2,-y,-z'
'-x+1/2,y,z'
'-x,y+1/2,-z'
'x,-y+1/2,z'
loop_
_atom_site_label
_atom_site_fract_x
_atom_site_fract_y
_atom_site_fract_z
Ag1 0.2500 0.2500 0.1246
Pd1 0.2500 0.2500 0.6250
Pd2 0.2500 0.5820 0.1279
Pd3 0.2500 0.5826 0.6229
```

The following is a theoretical XRD peak list of Cd2Pb3O8. It was derived from a GGA-PBE-relaxed structure, using Cu Kα (λ = 1.5418 Å).

Top 10 peaks for 2θ from 10° to 80°, low angle first:
(hkl)  two_theta  I/Imax
2 0 0  16.55  85.9
1 1 1  23.59  36.4
2 0 1  25.37  32.8
3 1 -1  29.67  44.0
0 2 1  31.29  100.0
0 0 2  31.74  75.9
2 2 -1  33.82  58.0
4 2 -1  43.60  38.0
4 2 1  49.19  52.0
2 2 -3  55.47  38.4

Structural model:
```
data_Cd2Pb3O8
_space_group_name_H-M_alt 'C 1 2/m 1'
_space_group_IT_number 12
_cell_length_a 10.9955
_cell_length_b 6.6343
_cell_length_c 5.7831
_cell_angle_alpha 90.00
_cell_angle_beta 102.94
_cell_angle_gamma 90.00
loop_
_space_group_symop_operation_xyz
'x,y,z'
'-x,-y,-z'
'-x,y,-z'
'x,-y,z'
'x+1/2,y+1/2,z'
'-x+1/2,-y+1/2,-z'
'-x+1/2,y+1/2,-z'
'x+1/2,-y+1/2,z'
loop_
_atom_site_label
_atom_site_fract_x
_atom_site_fract_y
_atom_site_fract_z
Cd1 0.2046 0.0000 0.0928
Pb1 0.0000 0.2434 0.5000
Pb2 0.0000 0.5000 0.0000
O1 0.1029 0.5000 0.3739
O2 0.1061 0.0000 0.3902
O3 0.1210 0.2769 0.8701
```

~~~~~
'''
The data records stop here:
BDes 2011